Rated M for a reason.

A/N: So.... This is going to be Bondage, dom-sub, sato and mato.. as I said before, so If you don't like it, turn back now. No smut in the first chapter. There will be smut in Second. Thanks to MissPsychotic, and Kapootya for the support, and thanks if you read it.

On numerous occasions, I had passed by here on my way to work. It took me time and time to finally get the guts to go in and explore, and now, I was finally going to do it.

I pulled the two black doors open, and braced myself for whatever was on the other side.

I had just entered the store, and yet, it drew me in.

My mind had fomulated that this was heaven for some odd reason.

Leather, spikes, balls, pins, and shit I couldn't name, and yet for some reason I couldn't understand, I was drawn to this. Drawn to it like a fly is drawn to sugar, drawn to it like a man is drawn to breasts.

The velvet lining on the walls, the cold linoleum on the floors, the displays on the walls and on the racks; it was all overwhelming.

Things that looked like swings were hung up in the room, random beds were scattered, and several things made this look like a British leather shop.

I didn't fit this lifestyle, but fuck, I wanted to.

I wanted to use everything in here, use everything for whatever the fuck it was used for. I wanted this to become my lifestyle, to become my sanity. The sexual experience of it, the thrilling joy of being tied up, and fucked until you couldn't walk anymore. I wanted to be pleased, to finally have meaning in the pitiful existence of my so called love-life. I wanted to be tied up; I wanted to be dominated, to find that I was the strong woman, to know I had willingness in my body to do this. This felt enlightening already. I was becoming someone who I wanted to be for the longest. A happy person.

A tall brunette with a sexy smile and a killer body walked up to me in chaps and a thong, and looked me once over.

"You're hooked already, aren't you?" he asked, his sexy satin-like voice lulling me in. He looked me straight in the eye. I looked around. I knew it, I was hooked already. I nodded, and he smiled and led me around.

I was amazed. He could name every single contraption in here, but I could only name a few.

While walking around with him, he led me to the swings, and I sat on one. I was begging to get wet already. What the fuck was this doing to me?

This contraption which felt nothing like a swing was pretty study, and the straps were strategically placed in the right fucking places.

The two straps to sit on were to hold you in place, and there was two hold for your feet.


I wish I could've found this earlier; my life would've been complete. My hands felt the leather underneath me, and I moaned.

When Jake and I had sex, I hardly ever moaned.

Again, what the fuck? I closed my eyes, and savored the feel of the leather. I loved this more then anything.

The burly man, whose name I learned to be Emmett, coughed, and I opened my eyes.

Chuckling, I got up, and he walked forward. My eyes darted toward the 'nipple clamps', and the gags.

I wanted to try them out so bad. Emmett must've seen me gawking at them, because he smiled wickedly at me.

"What got you interested in this sort of stuff?" he asked gesturing towards the whole store.

"I don't know," I answered honestly.

I shrugged. I really didn't know what drew me to this.

It just sort of... happened.

"I guess..." I was struggling for words.

"I guess it just sort of... drew me in? I could feel this pull when I saw this," I said, my hands gliding over the gags and clamps.

I had no idea what I had said, but hopefully, he understood. His eyebrows raised, and he smirked at me.

"Ah, that. I know what that is, it just draws you in, right?"

I nodded. He smiled at me.

**Records of crystals, as found in the file**
=====
First-principles (GGA-PBE) data for a relaxed MgH2 crystal, as listed in the Materials Project.

Cell: 4.511 4.923 5.428 Å, 90.00 90.00 90.00°
Element x y z (fractional)
Mg (0.500, 0.750, 0.830)
Mg (0.000, 0.250, 0.670)
Mg (0.500, 0.250, 0.170)
Mg (0.000, 0.750, 0.330)
H (0.727, 0.420, 0.891)
H (0.227, 0.580, 0.609)
H (0.773, 0.920, 0.609)
H (0.273, 0.080, 0.891)
H (0.727, 0.920, 0.109)
H (0.227, 0.080, 0.391)
H (0.773, 0.420, 0.391)
H (0.273, 0.580, 0.109)

Results
formation energy	-0.2937	eV per atom
space-group type	Pbcn (60)
crystal system	orthorhombic
final energy	-2.970	eV per atom

First-principles (GGA-PBE) data for a relaxed Ba2Nd4MgCu2O10 crystal, as listed in the Materials Project.

Cell: 5.995 6.482 7.656 Å, 86.03 90.00 90.00°
Element x y z (fractional)
Ba (0.000, 0.429, 0.424)
Ba (0.000, 0.011, 0.041)
Nd (0.500, 0.811, 0.352)
Nd (0.500, 0.705, 0.875)
Nd (0.500, 0.318, 0.181)
Nd (0.500, 0.207, 0.696)
Mg (0.000, 0.657, 0.742)
Cu (0.000, 0.506, 0.037)
Cu (0.000, 0.969, 0.497)
O (0.257, 0.638, 0.157)
O (0.237, 0.428, 0.819)
O (0.244, 0.108, 0.329)
O (0.243, 0.870, 0.681)
O (0.743, 0.638, 0.157)
O (0.757, 0.870, 0.681)
O (0.756, 0.108, 0.329)
O (0.763, 0.428, 0.819)
O (0.500, 0.039, 0.992)
O (0.500, 0.470, 0.470)

Results
formation energy	-2.7312	eV per atom
space-group type	Pm (6)
crystal system	monoclinic
final energy	-6.695	eV per atom

First-principles (GGA-PBE) data for a relaxed CsRb2GaI6 crystal, as listed in the Materials Project.

Cell: 9.061 9.061 9.061 Å, 60.00 60.00 60.00°
Element x y z (fractional)
Cs (0.500, 0.500, 0.500)
Rb (0.750, 0.750, 0.750)
Rb (0.250, 0.250, 0.250)
Ga (0.000, 0.000, 0.000)
I (0.780, 0.220, 0.220)
I (0.220, 0.220, 0.780)
I (0.220, 0.780, 0.780)
I (0.220, 0.780, 0.220)
I (0.780, 0.220, 0.780)
I (0.780, 0.780, 0.220)

Results
formation energy	-1.2004	eV per atom
space-group type	Fm-3m (225)
crystal system	cubic
final energy	-2.476	eV per atom

First-principles (GGA-PBE) data for a relaxed LiCuPO4 crystal, as listed in the Materials Project.

Cell: 7.759 8.484 17.367 Å, 62.15 90.00 90.00°
Element x y z (fractional)
Li (0.029, 0.722, 0.059)
Li (0.954, 0.362, 0.408)
Li (0.149, 0.015, 0.754)
Li (0.649, 0.985, 0.746)
Li (0.454, 0.638, 0.092)
Li (0.529, 0.278, 0.441)
Li (0.471, 0.722, 0.559)
Li (0.546, 0.362, 0.908)
Li (0.351, 0.015, 0.254)
Li (0.851, 0.985, 0.246)
Li (0.046, 0.638, 0.592)
Li (0.971, 0.278, 0.941)
Cu (0.738, 0.373, 0.590)
Cu (0.766, 0.663, 0.226)
Cu (0.730, 0.957, 0.924)
Cu (0.230, 0.043, 0.576)
Cu (0.266, 0.337, 0.274)
Cu (0.238, 0.627, 0.910)
Cu (0.762, 0.373, 0.090)
Cu (0.734, 0.663, 0.726)
Cu (0.770, 0.957, 0.424)
Cu (0.270, 0.043, 0.076)
Cu (0.234, 0.337, 0.774)
Cu (0.262, 0.627, 0.410)
P (0.340, 0.362, 0.594)
P (0.179, 0.698, 0.223)
P (0.328, 0.968, 0.925)
P (0.828, 0.032, 0.575)
P (0.679, 0.302, 0.277)
P (0.840, 0.638, 0.906)
P (0.160, 0.362, 0.094)
P (0.321, 0.698, 0.723)
P (0.172, 0.968, 0.425)
P (0.672, 0.032, 0.075)
P (0.821, 0.302, 0.777)
P (0.660, 0.638, 0.406)
=====

"You must be a natural at this." He pointed to a leather harness looking thing.

"What do you think that is?" he asked me.

I thought for a second. It had some sort of O shaped hole, which I thought to be where the cock was put through.

"Uhm," I took a wild guess, or what I thought it was, "Is it a harness? For a guy?"

He nodded, and pointed to something I couldn't make out.

It looked like some sort of machine, but it made no sense.

I took a hard look, and I came up blank.

I didn't know anything about this. Wait, I stopped, and looked at it again. Was it a sex machine?

"Sex machine," I blurted out without thinking, and then something else caught my eye.

"Is that a… Wartenberg Pinwheel?" I knew about those. They were like pizza cutters, but they didn't cut, they just stimulated goose bumps with the pricking. I loved them.

His smile turned into a shit-eating grin, and he pulled me in for a hug.

"You're more then a natural!" He beamed, and I smiled.

"This feels good to be here," I said in all honesty.

A woman piped up from the back of the store.

"You know, you can try this stuff out, right?" She said, and my face lit up.

"Yeah?" I asked, not sure if she was fucking with me or not.

She smiled, "No shitting you here. I'm Rose, this turd-fucker's girlfriend."

I laughed at that, and she came to where Emmett and I were. She pulled my hand.

"What do you want to try out?" She asked, and then hesitated, "If you want to, I mean."

I smiled even wider, and nodded my head. She dragged me to the back of the store, and pushed me into a space with a thing that looked like a female harness.

"Go ahead, try it on," She encouraged.

I did as she said, and walked out. She whistled.

"Damn, nice tits," She complimented me lookking me up and down again. I blushed, and she smirked.

"Bondage virgin," She shook her head teasingly. "Now," She looked at me straight in the eye, "What do you want to do?"